# What to do
Return all of the data below exactly.

# Material
'''
Simulated powder X-ray diffraction pattern of Cu5IBr12 for CuKα, from DFT lattice parameters and positions (PBE).
Neutral-atom scattering factors, no anomalous dispersion.

Atomic structure:
Unit cell a=5.947 b=7.507 c=13.769 alpha=93.26 beta=91.01 gamma=103.60
Space group P-1 (No. 2)
Symmetry-distinct sites (fractional):
Cu: 0.000 0.000 0.000 (multiplicity 1)
Cu: 0.236 0.360 0.532 (multiplicity 2)
Cu: 0.338 0.666 0.001 (multiplicity 2)
I: 0.500 0.000 0.500 (multiplicity 1)
Br: 0.079 0.277 0.684 (multiplicity 2)
Br: 0.091 0.787 0.115 (multiplicity 2)
Br: 0.099 0.785 0.567 (multiplicity 2)
Br: 0.249 0.881 0.893 (multiplicity 2)
Br: 0.411 0.447 0.111 (multiplicity 2)
Br: 0.416 0.471 0.383 (multiplicity 2)

The 10 most intense peaks (10 to 90 degrees two-theta), low angle first:
| d/Å | 2theta | I/Imax | h k l |
| --- | --- | --- | --- |
| 6.870 | 12.9 | 100 | 0 0 2 |
| 4.081 | 21.8 | 20 | 1 1 0 |
| 3.851 | 23.1 | 67 | 1 1 1 |
| 3.473 | 25.6 | 68 | 1 -2 0 |
| 3.425 | 26.0 | 17 | 1 1 2 |
| 2.706 | 33.1 | 28 | 1 1 -4 |
| 2.239 | 40.3 | 28 | -2 1 4 |
| 2.044 | 44.3 | 24 | 0 3 -4 |
| 1.926 | 47.2 | 13 | 2 2 2 |
| 1.737 | 52.7 | 17 | 2 -4 0 |

----------

No. 1
Structure and theoretical powder diffractogram of TmLuSnC (a DFT-relaxed cell (GGA-PBE, OQMD); Cu Kα (weighted mean of Kα1 and Kα2)).
Lines closer than 0.1° are merged.

Peak list (10 most intense, 10 to 90 degrees two-theta, by angle)
- 29.05 deg, I = 23
- 33.93 deg, I = 100
- 34.70 deg, I = 20
- 45.87 deg, I = 16
- 51.50 deg, I = 22
- 61.71 deg, I = 18
- 63.12 deg, I = 17
- 63.60 deg, I = 21
- 84.47 deg, I = 8
- 85.72 deg, I = 15

a b c (Å): 3.5489 3.5489 15.5092
angles (deg): 90.00 90.00 120.00
Space group P6_3mc (No. 186)
One atom of each set of equivalent atoms:
Tm: 0.3333 0.6667 0.0000 x2
Lu: 0.3333 0.6667 0.3324 x2
Sn: 0.3333 0.6667 0.6667 x2
C: 0.0000 0.0000 0.4155 x2

No. 2
Structure and theoretical powder diffractogram of Gd5C6Cl3 (a DFT-relaxed cell (GGA-PBE, OQMD); Cu Kα (weighted mean of Kα1 and Kα2)).
Lines closer than 0.1° are merged.

Peak list (10 most intense, 10 to 90 degrees two-theta, by angle)
- 11.75 deg, I = 25
- 27.27 deg, I = 33
- 27.79 deg, I = 32
- 28.12 deg, I = 74
- 29.48 deg, I = 72
- 33.54 deg, I = 100
- 44.91 deg, I = 36
- 45.59 deg, I = 35
- 48.90 deg, I = 19
- 58.14 deg, I = 19

a b c (Å): 21.7162 3.7248 15.3389
angles (deg): 90.00 123.16 90.00
Space group C2/m (No. 12)
One atom of each set of equivalent atoms:
Gd: 0.0062 0.0000 0.1130 x4
Gd: 0.0068 0.0000 0.3969 x4
Gd: 0.1633 0.5000 0.6392 x4
Gd: 0.1668 0.5000 0.1078 x4
Gd: 0.1741 0.5000 0.8809 x4
C: 0.0371 0.5000 0.0300 x4
C: 0.0373 0.5000 0.5274 x4
C: 0.1244 0.0000 0.7269 x4
C: 0.1238 0.0000 0.9600 x4
C: 0.1968 0.0000 0.0170 x4
C: 0.1971 0.0000 0.7769 x4
Cl: 0.0273 0.5000 0.2710 x4
Cl: 0.1691 0.0000 0.5108 x4
Cl: 0.1712 0.0000 0.2513 x4

No. 3
Structure and theoretical powder diffractogram of H9PtN2ClO2 (a DFT-relaxed cell (GGA-PBE, OQMD); Cu Kα (weighted mean of Kα1 and Kα2)).
Lines closer than 0.1° are merged.

Peak list (10 most intense, 10 to 90 degrees two-theta, by angle)
- 12.45 deg, I = 100
- 12.84 deg, I = 21
- 18.75 deg, I = 19
- 19.54 deg, I = 45
- 20.30 deg, I = 26
- 22.36 deg, I = 43
- 23.29 deg, I = 27
- 26.60 deg, I = 53
- 26.97 deg, I = 38
- 32.67 deg, I = 38

a b c (Å): 7.6446 4.0830 18.8079
angles (deg): 90.00 111.52 90.00
Space group P2_1/c (No. 14)
One atom of each set of equivalent atoms:
H: 0.0068 0.2453 0.2404 x4
H: 0.0916 0.0192 0.0775 x4
H: 0.2122 0.6763 0.0858 x4
H: 0.2246 0.6069 0.6635 x4
H: 0.2622 0.5311 0.3665 x4
H: 0.2659 0.2280 0.7436 x4
H: 0.3529 0.6369 0.8383 x4
H: 0.4181 0.7287 0.9307 x4
H: 0.4827 0.1698 0.7565 x4
Pt: 0.0872 0.0450 0.3854 x4
N: 0.1357 0.6874 0.6107 x4
N: 0.3060 0.7290 0.8792 x4
Cl: 0.2679 0.1968 0.5084 x4
O: 0.0718 0.0702 0.7243 x4
O: 0.3947 0.1560 0.2596 x4

No. 4
Structure and theoretical powder diffractogram of YNbBi2Ir2 (a DFT-relaxed cell (GGA-PBE, OQMD); Cu Kα (weighted mean of Kα1 and Kα2)).
Lines closer than 0.1° are merged.
'''

# Written answer
Simulated powder X-ray diffraction pattern of Cu5IBr12 for CuKα, from DFT lattice parameters and positions (PBE).
Neutral-atom scattering factors, no anomalous dispersion.

Atomic structure:
Unit cell a=5.947 b=7.507 c=13.769 alpha=93.26 beta=91.01 gamma=103.60
Space group P-1 (No. 2)
Symmetry-distinct sites (fractional):
Cu: 0.000 0.000 0.000 (multiplicity 1)
Cu: 0.236 0.360 0.532 (multiplicity 2)
Cu: 0.338 0.666 0.001 (multiplicity 2)
I: 0.500 0.000 0.500 (multiplicity 1)
Br: 0.079 0.277 0.684 (multiplicity 2)
Br: 0.091 0.787 0.115 (multiplicity 2)
Br: 0.099 0.785 0.567 (multiplicity 2)
Br: 0.249 0.881 0.893 (multiplicity 2)
Br: 0.411 0.447 0.111 (multiplicity 2)
Br: 0.416 0.471 0.383 (multiplicity 2)

The 10 most intense peaks (10 to 90 degrees two-theta), low angle first:
| d/Å | 2theta | I/Imax | h k l |
| --- | --- | --- | --- |
| 6.870 | 12.9 | 100 | 0 0 2 |
| 4.081 | 21.8 | 20 | 1 1 0 |
| 3.851 | 23.1 | 67 | 1 1 1 |
| 3.473 | 25.6 | 68 | 1 -2 0 |
| 3.425 | 26.0 | 17 | 1 1 2 |
| 2.706 | 33.1 | 28 | 1 1 -4 |
| 2.239 | 40.3 | 28 | -2 1 4 |
| 2.044 | 44.3 | 24 | 0 3 -4 |
| 1.926 | 47.2 | 13 | 2 2 2 |
| 1.737 | 52.7 | 17 | 2 -4 0 |

----------

No. 1
Structure and theoretical powder diffractogram of TmLuSnC (a DFT-relaxed cell (GGA-PBE, OQMD); Cu Kα (weighted mean of Kα1 and Kα2)).
Lines closer than 0.1° are merged.

Peak list (10 most intense, 10 to 90 degrees two-theta, by angle)
- 29.05 deg, I = 23
- 33.93 deg, I = 100
- 34.70 deg, I = 20
- 45.87 deg, I = 16
- 51.50 deg, I = 22
- 61.71 deg, I = 18
- 63.12 deg, I = 17
- 63.60 deg, I = 21
- 84.47 deg, I = 8
- 85.72 deg, I = 15

a b c (Å): 3.5489 3.5489 15.5092
angles (deg): 90.00 90.00 120.00
Space group P6_3mc (No. 186)
One atom of each set of equivalent atoms:
Tm: 0.3333 0.6667 0.0000 x2
Lu: 0.3333 0.6667 0.3324 x2
Sn: 0.3333 0.6667 0.6667 x2
C: 0.0000 0.0000 0.4155 x2

No. 2
Structure and theoretical powder diffractogram of Gd5C6Cl3 (a DFT-relaxed cell (GGA-PBE, OQMD); Cu Kα (weighted mean of Kα1 and Kα2)).
Lines closer than 0.1° are merged.

Peak list (10 most intense, 10 to 90 degrees two-theta, by angle)
- 11.75 deg, I = 25
- 27.27 deg, I = 33
- 27.79 deg, I = 32
- 28.12 deg, I = 74
- 29.48 deg, I = 72
- 33.54 deg, I = 100
- 44.91 deg, I = 36
- 45.59 deg, I = 35
- 48.90 deg, I = 19
- 58.14 deg, I = 19

a b c (Å): 21.7162 3.7248 15.3389
angles (deg): 90.00 123.16 90.00
Space group C2/m (No. 12)
One atom of each set of equivalent atoms:
Gd: 0.0062 0.0000 0.1130 x4
Gd: 0.0068 0.0000 0.3969 x4
Gd: 0.1633 0.5000 0.6392 x4
Gd: 0.1668 0.5000 0.1078 x4
Gd: 0.1741 0.5000 0.8809 x4
C: 0.0371 0.5000 0.0300 x4
C: 0.0373 0.5000 0.5274 x4
C: 0.1244 0.0000 0.7269 x4
C: 0.1238 0.0000 0.9600 x4
C: 0.1968 0.0000 0.0170 x4
C: 0.1971 0.0000 0.7769 x4
Cl: 0.0273 0.5000 0.2710 x4
Cl: 0.1691 0.0000 0.5108 x4
Cl: 0.1712 0.0000 0.2513 x4

No. 3
Structure and theoretical powder diffractogram of H9PtN2ClO2 (a DFT-relaxed cell (GGA-PBE, OQMD); Cu Kα (weighted mean of Kα1 and Kα2)).
Lines closer than 0.1° are merged.

Peak list (10 most intense, 10 to 90 degrees two-theta, by angle)
- 12.45 deg, I = 100
- 12.84 deg, I = 21
- 18.75 deg, I = 19
- 19.54 deg, I = 45
- 20.30 deg, I = 26
- 22.36 deg, I = 43
- 23.29 deg, I = 27
- 26.60 deg, I = 53
- 26.97 deg, I = 38
- 32.67 deg, I = 38

a b c (Å): 7.6446 4.0830 18.8079
angles (deg): 90.00 111.52 90.00
Space group P2_1/c (No. 14)
One atom of each set of equivalent atoms:
H: 0.0068 0.2453 0.2404 x4
H: 0.0916 0.0192 0.0775 x4
H: 0.2122 0.6763 0.0858 x4
H: 0.2246 0.6069 0.6635 x4
H: 0.2622 0.5311 0.3665 x4
H: 0.2659 0.2280 0.7436 x4
H: 0.3529 0.6369 0.8383 x4
H: 0.4181 0.7287 0.9307 x4
H: 0.4827 0.1698 0.7565 x4
Pt: 0.0872 0.0450 0.3854 x4
N: 0.1357 0.6874 0.6107 x4
N: 0.3060 0.7290 0.8792 x4
Cl: 0.2679 0.1968 0.5084 x4
O: 0.0718 0.0702 0.7243 x4
O: 0.3947 0.1560 0.2596 x4

No. 4
Structure and theoretical powder diffractogram of YNbBi2Ir2 (a DFT-relaxed cell (GGA-PBE, OQMD); Cu Kα (weighted mean of Kα1 and Kα2)).
Lines closer than 0.1° are merged.